Job.
Start at the top of the material underneath and duplicate each line, ending with the one that has "[3]".

Input.
=====
Li3Mg2Zn | Alexandria | PBE | relaxed; space group = No. 25; total moment = 0.0 μB/f.u.; formation enthalpy at 0 K = -0.074 eV per atom
1.0
2.9527 0.0000 0.0000
0.0000 4.6386 0.0000
0.0000 0.0000 8.2228
Li Mg Zn
3 2 1
Direct
0.0000 0.0000 0.0000
0.0000 0.0000 0.3353
0.0000 0.5000 0.8296
0.5000 0.0000 0.6547
0.5000 0.5000 0.1798
0.0000 0.5000 0.4979

----------

[1]
Density functional theory data (meta-GGA SCAN) for AlVMoO7 at its PBEsol-relaxed geometry.

abc: 5.3682 8.1718 12.7894
angles: 90.00 90.00 90.00
With the nearest neighbours (Å) after each atom.
Sites, in units of the cell vectors:
V 0.7500 0.5691 0.0129  1 O 1.59
O 0.2500 0.2190 0.4079  1 V 1.59
O 0.7500 0.1777 0.7465  1 Mo 1.76, 1 Al 1.86
O 0.4789 0.5973 0.9300  2 V 1.82-1.97, 1 Al 1.92
V 0.2500 0.0691 0.4871  1 O 1.59
O 0.2500 0.6777 0.7535  1 Mo 1.76, 1 Al 1.86
Al 0.7500 0.2656 0.6122  6 O 1.85-1.92
Al 0.2500 0.7656 0.8878  6 O 1.85-1.92
O 0.9922 0.4160 0.6478  1 Mo 1.75, 1 Al 1.85
O 0.7500 0.7190 0.0921  1 V 1.59
V 0.2500 0.4309 0.9871  1 O 1.59
O 0.4789 0.9027 0.4300  2 V 1.82-1.97, 1 Al 1.92
Mo 0.7500 0.0466 0.8556  4 O 1.75-1.76
O 0.2500 0.2810 0.9079  1 V 1.59
O 0.5211 0.0973 0.5700  2 V 1.82-1.97, 1 Al 1.92
O 0.7500 0.3223 0.2465  1 Mo 1.76, 1 Al 1.86
O 0.5078 0.4160 0.6478  1 Mo 1.75, 1 Al 1.85
O 0.9789 0.0973 0.5700  2 V 1.82-1.97, 1 Al 1.92
O 0.7500 0.1583 0.9728  1 Mo 1.76, 1 Al 1.89
O 0.7500 0.7810 0.5921  1 V 1.59
O 0.4922 0.9160 0.8522  1 Mo 1.75, 1 Al 1.85
O 0.4922 0.5840 0.3522  1 Mo 1.75, 1 Al 1.85
O 0.0211 0.5973 0.9300  2 V 1.82-1.97, 1 Al 1.92
O 0.0211 0.9027 0.4300  2 V 1.82-1.97, 1 Al 1.92
O 0.5078 0.0840 0.1478  1 Mo 1.75, 1 Al 1.85
V 0.7500 0.9309 0.5129  1 O 1.59
O 0.9789 0.4027 0.0700  2 V 1.82-1.97, 1 Al 1.92
Mo 0.2500 0.5466 0.6444  4 O 1.75-1.76
O 0.2500 0.6583 0.5272  1 Mo 1.76, 1 Al 1.89
O 0.9922 0.0840 0.1478  1 Mo 1.75, 1 Al 1.85
Al 0.2500 0.7344 0.3878  6 O 1.85-1.92
O 0.0078 0.5840 0.3522  1 Mo 1.75, 1 Al 1.85
Mo 0.7500 0.4534 0.3555  4 O 1.75-1.76
Al 0.7500 0.2344 0.1122  6 O 1.85-1.92
O 0.5211 0.4027 0.0700  2 V 1.82-1.97, 1 Al 1.92
O 0.2500 0.8417 0.0272  1 Mo 1.76, 1 Al 1.89
O 0.2500 0.8223 0.2535  1 Mo 1.76, 1 Al 1.86
O 0.0078 0.9160 0.8522  1 Mo 1.75, 1 Al 1.85
Mo 0.2500 0.9534 0.1444  4 O 1.75-1.76
O 0.7500 0.3417 0.4728  1 Mo 1.76, 1 Al 1.89

## Properties
As for the uncorrected formation energy: -248 kJ/mol of atoms. The density of states at the Fermi level comes out at 0.00 states/eV per atom. Its crystal system is orthorhombic. Its electronic total energy is -12.940 eV/atom. The space-group type is Pnma (62).

[2]
Density functional theory data (meta-GGA SCAN) for Na2LiSn2 at its PBEsol-relaxed geometry.

abc: 4.2662 4.2662 7.9468
angles: 105.57 105.57 90.00
With the nearest neighbours (Å) after each atom.
Sites, in units of the cell vectors:
Sn 0.4065 0.4065 0.8131  1 Sn 2.75
Na 0.7500 0.2500 0.5000  4 Na 3.02, 4 Sn 3.14
Sn 0.5935 0.5935 0.1869  1 Sn 2.75
Li 0.0000 0.0000 0.0000  8 Sn 3.31
Na 0.2500 0.7500 0.5000  4 Na 3.02, 4 Sn 3.14

## Properties
The calculation puts the formation energy at -0.3 eV/f.u. The density of states at the Fermi level comes out at 0.46 states/eV per atom. Its crystal system is tetragonal. Its electronic total energy is -16.594 eV/atom. The space-group type is I4/mmm (139).

[3]
Density functional theory data (meta-GGA SCAN) for Na3TeOs at its PBEsol-relaxed geometry.

abc: 5.5333 5.5333 5.5333
angles: 90.00 90.00 90.00
With the nearest neighbours (Å) after each atom.
Sites, in units of the cell vectors:
Na 0.0000 0.5000 0.0000  2 Os 2.77
Te 0.5000 0.5000 0.5000  12 Na 3.91
Os 0.0000 0.0000 0.0000  6 Na 2.77
Na 0.0000 0.0000 0.5000  2 Os 2.77
Na 0.5000 0.0000 0.0000  2 Os 2.77

## Properties
As for the uncorrected formation energy: 83 kJ/mol of atoms. Its crystal system is cubic. Its electronic total energy is -23.494 eV/atom. The space-group type is Pm-3m (221).

[4]
Density functional theory data (meta-GGA SCAN) for TaSeBr2 at its PBEsol-relaxed geometry.

abc: 4.9290 7.0119 7.0119
=====

Outcome.
Li3Mg2Zn | Alexandria | PBE | relaxed; space group = No. 25; total moment = 0.0 μB/f.u.; formation enthalpy at 0 K = -0.074 eV per atom
1.0
2.9527 0.0000 0.0000
0.0000 4.6386 0.0000
0.0000 0.0000 8.2228
Li Mg Zn
3 2 1
Direct
0.0000 0.0000 0.0000
0.0000 0.0000 0.3353
0.0000 0.5000 0.8296
0.5000 0.0000 0.6547
0.5000 0.5000 0.1798
0.0000 0.5000 0.4979

----------

[1]
Density functional theory data (meta-GGA SCAN) for AlVMoO7 at its PBEsol-relaxed geometry.

abc: 5.3682 8.1718 12.7894
angles: 90.00 90.00 90.00
With the nearest neighbours (Å) after each atom.
Sites, in units of the cell vectors:
V 0.7500 0.5691 0.0129  1 O 1.59
O 0.2500 0.2190 0.4079  1 V 1.59
O 0.7500 0.1777 0.7465  1 Mo 1.76, 1 Al 1.86
O 0.4789 0.5973 0.9300  2 V 1.82-1.97, 1 Al 1.92
V 0.2500 0.0691 0.4871  1 O 1.59
O 0.2500 0.6777 0.7535  1 Mo 1.76, 1 Al 1.86
Al 0.7500 0.2656 0.6122  6 O 1.85-1.92
Al 0.2500 0.7656 0.8878  6 O 1.85-1.92
O 0.9922 0.4160 0.6478  1 Mo 1.75, 1 Al 1.85
O 0.7500 0.7190 0.0921  1 V 1.59
V 0.2500 0.4309 0.9871  1 O 1.59
O 0.4789 0.9027 0.4300  2 V 1.82-1.97, 1 Al 1.92
Mo 0.7500 0.0466 0.8556  4 O 1.75-1.76
O 0.2500 0.2810 0.9079  1 V 1.59
O 0.5211 0.0973 0.5700  2 V 1.82-1.97, 1 Al 1.92
O 0.7500 0.3223 0.2465  1 Mo 1.76, 1 Al 1.86
O 0.5078 0.4160 0.6478  1 Mo 1.75, 1 Al 1.85
O 0.9789 0.0973 0.5700  2 V 1.82-1.97, 1 Al 1.92
O 0.7500 0.1583 0.9728  1 Mo 1.76, 1 Al 1.89
O 0.7500 0.7810 0.5921  1 V 1.59
O 0.4922 0.9160 0.8522  1 Mo 1.75, 1 Al 1.85
O 0.4922 0.5840 0.3522  1 Mo 1.75, 1 Al 1.85
O 0.0211 0.5973 0.9300  2 V 1.82-1.97, 1 Al 1.92
O 0.0211 0.9027 0.4300  2 V 1.82-1.97, 1 Al 1.92
O 0.5078 0.0840 0.1478  1 Mo 1.75, 1 Al 1.85
V 0.7500 0.9309 0.5129  1 O 1.59
O 0.9789 0.4027 0.0700  2 V 1.82-1.97, 1 Al 1.92
Mo 0.2500 0.5466 0.6444  4 O 1.75-1.76
O 0.2500 0.6583 0.5272  1 Mo 1.76, 1 Al 1.89
O 0.9922 0.0840 0.1478  1 Mo 1.75, 1 Al 1.85
Al 0.2500 0.7344 0.3878  6 O 1.85-1.92
O 0.0078 0.5840 0.3522  1 Mo 1.75, 1 Al 1.85
Mo 0.7500 0.4534 0.3555  4 O 1.75-1.76
Al 0.7500 0.2344 0.1122  6 O 1.85-1.92
O 0.5211 0.4027 0.0700  2 V 1.82-1.97, 1 Al 1.92
O 0.2500 0.8417 0.0272  1 Mo 1.76, 1 Al 1.89
O 0.2500 0.8223 0.2535  1 Mo 1.76, 1 Al 1.86
O 0.0078 0.9160 0.8522  1 Mo 1.75, 1 Al 1.85
Mo 0.2500 0.9534 0.1444  4 O 1.75-1.76
O 0.7500 0.3417 0.4728  1 Mo 1.76, 1 Al 1.89

## Properties
As for the uncorrected formation energy: -248 kJ/mol of atoms. The density of states at the Fermi level comes out at 0.00 states/eV per atom. Its crystal system is orthorhombic. Its electronic total energy is -12.940 eV/atom. The space-group type is Pnma (62).

[2]
Density functional theory data (meta-GGA SCAN) for Na2LiSn2 at its PBEsol-relaxed geometry.

abc: 4.2662 4.2662 7.9468
angles: 105.57 105.57 90.00
With the nearest neighbours (Å) after each atom.
Sites, in units of the cell vectors:
Sn 0.4065 0.4065 0.8131  1 Sn 2.75
Na 0.7500 0.2500 0.5000  4 Na 3.02, 4 Sn 3.14
Sn 0.5935 0.5935 0.1869  1 Sn 2.75
Li 0.0000 0.0000 0.0000  8 Sn 3.31
Na 0.2500 0.7500 0.5000  4 Na 3.02, 4 Sn 3.14

## Properties
The calculation puts the formation energy at -0.3 eV/f.u. The density of states at the Fermi level comes out at 0.46 states/eV per atom. Its crystal system is tetragonal. Its electronic total energy is -16.594 eV/atom. The space-group type is I4/mmm (139).

[3]